
Hunting Season is Year Round

[Here the piece breaks off for materials data]
- - -
(1)
The following is a DFT calculation (PBE) of a relaxed structure of Li2PtO6.

Cell: 5.3732 5.3732 3.8507 Å, 90.00 90.00 120.00°
Last column: nearest neighbours and their distance in Å.
Atoms (fractional coordinates):
O1 0.2991 0.0000 0.2764  1 Pt 1.93
Pt1 0.0000 0.0000 0.0000  6 O 1.93
O2 0.7009 0.0000 0.7236  1 Pt 1.93
Li1 0.3333 0.6667 0.0000  6 O 2.17
O3 0.0000 0.2991 0.2764  1 Pt 1.93
Li2 0.6667 0.3333 0.0000  6 O 2.17
O4 0.0000 0.7009 0.7236  1 Pt 1.93
O5 0.7009 0.7009 0.2764  1 Pt 1.93
O6 0.2991 0.2991 0.7236  1 Pt 1.93

## Properties
energy above the most stable polymorph in this dataset: 0.025 eV/atom
ΔE_f: -0.76 eV/atom
total magnetic moment: 3.218 μB per formula unit
volume: 10.70 Å³/atom

=====

(2)
The following is a DFT calculation (PBE) of a relaxed structure of Lu2CdHg.

Cell: 5.1795 5.1795 5.1795 Å, 60.00 60.00 60.00°
Last column: nearest neighbours and their distance in Å.
Atoms (fractional coordinates):
Hg1 0.0000 0.0000 0.0000  8 Lu 3.17
Lu1 0.7500 0.7500 0.7500  4 Cd 3.17, 4 Hg 3.17
Lu2 0.2500 0.2500 0.2500  4 Cd 3.17, 4 Hg 3.17
Cd1 0.5000 0.5000 0.5000  8 Lu 3.17

## Properties
ΔE_f: -0.38 eV/atom
volume: 24.56 Å³/atom

=====

(3)
The following is a DFT calculation (PBE) of a relaxed structure of Na4Ga2S5.

Cell: 6.1785 8.0483 20.1129 Å, 88.63 90.00 90.00°
Last column: nearest neighbours and their distance in Å.
Atoms (fractional coordinates):
Na1 0.9751 0.6534 0.7834  4 S 2.79-3.04
Ga1 0.5866 0.6540 0.4634  4 S 2.28-2.34
Na2 0.0414 0.4020 0.3974  4 S 2.77-3.04
Na3 0.0003 0.1116 0.7997  4 S 2.75-3.07
S1 0.5227 0.0910 0.8276  1 Ga 2.26
Ga2 0.0866 0.3460 0.0366  4 S 2.28-2.34
S2 0.0637 0.2580 0.5299  2 Ga 2.28-2.35
S3 0.9294 0.1353 0.0976  2 Ga 2.29-2.37
Ga3 0.4326 0.8334 0.8657  4 S 2.24-2.37
Na4 0.5249 0.6534 0.2834  4 S 2.79-3.04
Na5 0.9586 0.5980 0.6026  4 S 2.77-3.04
Na6 0.9997 0.8884 0.2003  4 S 2.75-3.07
Na7 0.2562 0.9238 0.0430  6 S 2.83-3.10
S4 0.4294 0.8647 0.4024  2 Ga 2.29-2.37
S5 0.9773 0.0910 0.3276  1 Ga 2.26
S6 0.5706 0.1353 0.5976  2 Ga 2.29-2.37
S7 0.4363 0.2580 0.0299  2 Ga 2.28-2.35
S8 0.5237 0.3888 0.4261  2 Ga 2.31-2.34
Na8 0.7562 0.0762 0.4570  6 S 2.83-3.10
S9 0.9763 0.3888 0.9261  2 Ga 2.31-2.34
S10 0.0157 0.6319 0.2927  1 Ga 2.24
Na9 0.4997 0.1116 0.2997  4 S 2.75-3.07
S11 0.4763 0.6112 0.5739  2 Ga 2.31-2.34
S12 0.0227 0.9090 0.6724  1 Ga 2.26
Ga4 0.0674 0.8334 0.3657  4 S 2.24-2.37
S13 0.0237 0.6112 0.0739  2 Ga 2.31-2.34
Ga5 0.5674 0.1666 0.1343  4 S 2.24-2.37
S14 0.5157 0.3681 0.2073  1 Ga 2.24
S15 0.5637 0.7420 0.9701  2 Ga 2.28-2.35
Na10 0.4586 0.4020 0.8974  4 S 2.77-3.04
Na11 0.4751 0.3466 0.7166  4 S 2.79-3.04
Na12 0.0249 0.3466 0.2166  4 S 2.79-3.04
S16 0.0706 0.8647 0.9024  2 Ga 2.29-2.37
Ga6 0.4134 0.3460 0.5366  4 S 2.28-2.34
Na13 0.5003 0.8884 0.7003  4 S 2.75-3.07
Na14 0.7438 0.0762 0.9570  6 S 2.83-3.10
S17 0.4773 0.9090 0.1724  1 Ga 2.26
Na15 0.2438 0.9238 0.5430  6 S 2.83-3.10
S18 0.9363 0.7420 0.4701  2 Ga 2.28-2.35
Ga7 0.9134 0.6540 0.9634  4 S 2.28-2.34
- - -

Posted by Kevin Estela on May 31st 2024

Hunting Season is Year Round

At the time of writing this, it has been almost 3 months since the official end of the rifle deer hunting season here in NC. For some, hunting season is “over” but for the avid folks out there, hunting is year-round. This concept is one Gerry Young and I taught at the hunter prep course back in September 2021 and we believe it to this day. Just because the time period you have to shoot a deer is over doesn’t mean you have to stop being a hunter. A true hunter prepares year-round and never gets out of the game. For this week’s blog, I wanted to share six of the ways you can ready yourself for the next time you’re allowed to take an animal legally.

Improve Physical Fitness

You may have heard some people say, “Summer bodies are made during the winter.” For those interested in beach muscles, there is absolute truth to this statement. For hunters, you should stay active or increase your activity during the offseason. This is your time to ruck march, deadlift, stretch and improve your mobility. It is easy to forget how much a good hunt can tax the body and you don’t want to wait a couple weeks before your preferred season starts to shed 10 or 15 pounds. Do it well before the season opens and invest in your overall fitness.

Examine Your Kit

If you’re like me, you have a good amount of hunting equipment. From headlamps to hunting knives to GPS units to rangefinders, you know your kit well and it gives you great pride to have exactly what you need to get the job done. It’s important to maintain that kit and this means touching up your knives and giving them a coat of protectant. It also means swapping out batteries and documenting or marking them to know when they should be taken out of service. While I’m not a fan of throwing hunting clothing into the normal wash, I will take a brush to it and remove any dried dirt or muck. No sense in giving your clothing additional scent with detergent.

Between two parts of the article: calculated crystals:
........
Density functional theory data (GGA-PBE) for Ca2Al2SiO8 after structural relaxation.

Values from the calculation:
As for the formation energy: -3.093 eV/atom. The total energy comes out at -182.45 eV for the cell shown.

Unit cell a=7.7194 b=7.7194 c=7.7194 alpha=109.09 beta=109.09 gamma=110.24
Positions (direct):
Ca 0.1950 0.1950 0.6953
Ca 0.4997 0.4997 0.3047
Ca 0.5003 0.8050 0.0000
Ca 0.8050 0.5003 0.0000
Al 0.0000 0.2520 0.2520
Al 0.0000 0.7480 0.7480
Al 0.2520 0.0000 0.2520
Al 0.7480 0.0000 0.7480
Si 0.2500 0.7500 0.5000
Si 0.7500 0.2500 0.5000
O 0.0689 0.5143 0.2930
O 0.0709 0.7772 0.0000
O 0.2213 0.7759 0.7070
O 0.2228 0.2228 0.2937
O 0.2241 0.9311 0.4454
O 0.2973 0.4926 0.0000
O 0.4857 0.7787 0.5546
O 0.4926 0.2973 0.0000
O 0.5074 0.5074 0.8047
O 0.5143 0.0689 0.2930
O 0.7027 0.7027 0.1953
O 0.7759 0.2213 0.7070
O 0.7772 0.0709 0.0000
O 0.7787 0.4857 0.5546
O 0.9291 0.9291 0.7063
O 0.9311 0.2241 0.4454
........
End of the calculated crystals:

Practice with Your Rifle

It happens every year, you see guys come out to the range with their deer rifle and the last time they shot their rifle was last year. They pull out a partially used box of ammo and confirm zero with 3 to 5 rounds. Aside from those 5 rounds annually, that rifle isn’t shotvery much. In your off-season time, you should practice rifle fundamentals with the kit you intend to use. This means using your rifle from standing, crouched, kneeling, seated, and prone. During the offseason, you should check the torque on your rifle scope ring screws and mark them with witness paint. You should also test out new ammunition for your rifle to see if there is a more accurate offering. Another idea is to chronograph your rifle and know what the true muzzle velocity is versus the advertised test numbers on the box.With this data, you can determine with a ballistic calculator how your rifle will perform at various distances. You have the entire offseason to learn your rifle and know it intimately. Don’t miss out on that opportunity. I’m currently getting familiarized with a Sako 90 Adventure and am enjoying every minute of the process.

Orient Yourself

Make sure you spend time where you hunt in the off-season scouting the areas you plan to hunt in the next open season. Learn what the terrain looks like in person andif you can, camp out in that area.Learn what the rhythm feels like and get an idea of where assets are. Bring your binos and hone your observation skills. The more you know ahead of time means the less you have to look at your map or navigation devices during the regular season. When you get boots on the ground, you see the land differently than you do on a map or even using Google Earth imagery. Paired with good programs like OnX, you can track where you see literal tracks in the ground and examples of animal signs.

Level Up Your Skills

It’s always the right time to learn complimentary skills for hunting. Learning knots will help you make sure you can secure your tent properly with guyed-out lines. Learning how to butcher and pack away your game means you’ll have the skills to safeguard your food in storage for months. Practicing with a map and compass will help you stay found and teach you to utilize natural backstops and handrails. Perhaps one of the most important skills to learn is the skill you never hope to use. That skill is med. When I taught Hunter Prep with Gerry Young back in 2021, he covered many possible and probable hunter med concerns such as falling on a broadhead, dealing with a head injury, mechanical injuries, and more. Your responsibility is to become more capable in the field. Will you?

Build a Hunting Party

Hunting doesn’t have to be a solitary activity. In fact, you will have more fun if you hunt with a strong party. Not only does the group environment mean more people to rib and more people to make the camp setting fun, more hands make light work when you have to haul out an animal. In the offseason, you need to assess the character of your potential hunting party members. A drink to celebrate a hunt is different from having too much to drink, preventing you from hunting. A person who can shoot well is different from a person who just wants to shoot. A “hunter” who brags about taking animals out of season is always a person who you deny hunting with. The list of red flags is endless and you have to be selective of who you invite in. Find people who push you to be better. Level up those who are willing to learn. Share your knowledge and learn from the knowledgeable.

You don’t have to wait for the open season to “hunt”.You’ve probably heard people say “Hunting is more than just killing the animal”. I will add “Hunting is more than just the season you do it in.” Just as hunters learn to enjoy the butchering aspect of hunting or the sharing of food more than the trigger work, you will learn to enjoy the year-round aspect of hunting beyond the season.